• File:
=====
[1]
A relaxed structure of K4Tb3PuTe8. Source: the Alexandria database, functional PBE-GGA.

Properties
space-group type: R-3m, No. 166
total magnetic moment: 5.00 Bohr magnetons per cell

Lattice parameters (Å, degrees): 9.0641 9.7527 9.0642 117.70 120.00 90.00
Fractional positions:
1 K 0.5000 0.0000 0.0000
2 K 0.5000 0.0000 0.5000
3 K 0.0000 0.0000 0.0000
4 K 0.0000 0.0000 0.5000
5 Tb 0.5000 0.5000 0.0000
6 Tb 0.5000 0.5000 0.5000
7 Tb 0.0000 0.5000 0.5000
8 Pu 0.0000 0.5000 0.0000
9 Te 0.2381 0.7093 0.9713
10 Te 0.2381 0.7093 0.4762
11 Te 0.2636 0.2908 0.5271
12 Te 0.7332 0.7093 0.9713
13 Te 0.2668 0.2907 0.0287
14 Te 0.7364 0.7092 0.4729
15 Te 0.7619 0.2907 0.5238
16 Te 0.7619 0.2907 0.0287


[2]
A relaxed structure of K3Tb2PuTe6. Source: the Alexandria database, functional PBE-GGA.

Properties
space-group type: C2/m, No. 12
total magnetic moment: 5.00 Bohr magnetons per cell

Lattice parameters (Å, degrees): 7.8662 7.8662 8.6228 98.75 98.75 120.00
Fractional positions:
1 K 0.1659 0.8341 0.5000
2 K 0.8341 0.1659 0.5000
3 K 0.5000 0.5000 0.5000
4 Tb 0.3333 0.6667 0.0000
5 Tb 0.6667 0.3333 0.0000
6 Pu 0.0000 0.0000 0.0000
7 Te 0.9302 0.5935 0.7906
8 Te 0.7331 0.7331 0.2093
9 Te 0.0698 0.4065 0.2094
10 Te 0.5935 0.9302 0.7906
11 Te 0.2669 0.2669 0.7907
12 Te 0.4065 0.0698 0.2094


In the order shown, the computed volume values come out to 36.6, 36.7 Å³ per atom.
In the order shown, the computed final energy values come out to -4.932, -5.106 eV/atom.
=====

• Job:
Find the line earlier on that holds "0.1659 0.8341", then duplicate that line and all lines after it there.

• Here it is:
1 K 0.1659 0.8341 0.5000
2 K 0.8341 0.1659 0.5000
3 K 0.5000 0.5000 0.5000
4 Tb 0.3333 0.6667 0.0000
5 Tb 0.6667 0.3333 0.0000
6 Pu 0.0000 0.0000 0.0000
7 Te 0.9302 0.5935 0.7906
8 Te 0.7331 0.7331 0.2093
9 Te 0.0698 0.4065 0.2094
10 Te 0.5935 0.9302 0.7906
11 Te 0.2669 0.2669 0.7907
12 Te 0.4065 0.0698 0.2094


In the order shown, the computed volume values come out to 36.6, 36.7 Å³ per atom.
In the order shown, the computed final energy values come out to -4.932, -5.106 eV/atom.